We'll have
many participants including artists, authors, scientists,
┌──
A single C2H2O3S molecule, computed with ωB97M-V with the def2-TZVPD basis set.

Each line ends with the Mulliken charge.
Geometry (Å):
S  -1.7556  -0.3904  -0.0593  -0.175
O  -0.1499  1.6642  0.0659  -0.505
O  0.9975  -1.5708  0.0831  -0.485
O  2.1254  0.3559  -0.0866  -0.468
C  1.0434  -0.3885  0.0296  0.396
C  -0.2146  0.4969  0.0119  0.686
H  -2.4330  0.7023  0.3105  0.162
H  1.7662  1.2994  -0.1091  0.390

The HOMO energy comes out at -0.386 Eh. The calculation puts the HOMO-LUMO gap at 10.09 eV. The calculation puts the molar mass at 106.10 g/mol. The net charge is 0. As for the spin multiplicity: 1. As for the energy above the lowest of the compared OMol25 structures with the same formula, charge and spin: 38.96 kJ/mol. The value obtained for the LUMO energy is -0.41 eV. The structure (SMILES) is O=C(O)C(=O)S.

A molecular structure, C2H2O3S, computed with ωB97M-V with the def2-TZVPD basis set.

Each line ends with the Mulliken charge.
Geometry (Å):
S  2.4775  -0.0581  0.1216  0.773
O  0.4106  0.8018  0.5733  -0.363
O  2.1102  -1.3860  0.5195  -0.412
O  2.6210  0.1828  -1.2949  -0.420
C  -0.6224  0.4921  0.1769  0.710
C  -2.0918  0.2762  0.0082  -0.826
H  -2.7785  0.3759  -0.6977  0.359
H  -2.1267  -0.6847  0.5931  0.179

The HOMO energy comes out at -0.356 Eh. The calculation puts the HOMO-LUMO gap at 9.28 eV. The calculation puts the molar mass at 106.10 g/mol. The net charge is 0. As for the spin multiplicity: 1. As for the energy above the lowest of the compared OMol25 structures with the same formula, charge and spin: 339.74 kJ/mol. The value obtained for the LUMO energy is -0.39 eV.

A single C2H2O3S molecule, computed with ωB97M-V with the def2-TZVPD basis set.

Each line ends with the Mulliken charge.
Geometry (Å):
S  1.9710  -0.0059  0.3490  0.665
O  2.7844  0.0259  -0.8104  -0.400
O  0.6214  1.0563  0.1822  -0.355
O  0.6192  -1.0706  0.1564  -0.359
C  -0.2473  -0.0076  0.1069  0.693
C  -1.5584  -0.0032  0.0312  -0.797
H  -2.1031  -0.9237  -0.0219  0.278
H  -2.0872  0.9287  0.0066  0.275

The HOMO energy comes out at -0.349 Eh. The calculation puts the HOMO-LUMO gap at 9.41 eV. The calculation puts the molar mass at 106.10 g/mol. The net charge is 0. As for the spin multiplicity: 1. As for the energy above the lowest of the compared OMol25 structures with the same formula, charge and spin: 231.34 kJ/mol. The value obtained for the LUMO energy is -0.09 eV.

2 unconnected molecules or ions with the total composition C2H2O3S, computed with ωB97M-V with the def2-TZVPD basis set.

Each line ends with the Mulliken charge.
Geometry (Å):
S  2.1778  -1.3253  0.3633  -0.137
O  0.7247  1.0219  -0.4294  -0.635
O  3.6362  2.3449  -0.1936  -0.244
O  3.1496  0.1119  0.0320  -0.248
C  0.1658  -0.1339  -0.3950  -0.202
C  3.2046  1.2964  -0.0745  0.837
H  0.1900  -0.7520  -1.3149  0.296
H  -0.4326  -0.6474  0.3131  0.332
└──
The calculated molecules stop here:
and other experts in their fields with discussion panels,
demonstrations, workshops, presentations and more. Below
is a preliminary list of participants with more to be added
along with their short biographies.
Sylvana Anderson-Gish
Len Berger
Tabitha Bradley
Cynthia Bullock
Mike Cassidy
Michele Ellington
Each day in which I created something has value, whether
it is cooking a fine meal, building a fence or making a work
of art. I love to share these works with others, and convention
art shows are exactly the right blend of learning, socializing
and sharing. Thanks to convention art shows I have been
able to sell art on four continents. When I think about
my art displayed in people’s homes all over the world, it
makes me feel like a little bit of me lives in all those
Maryeileen Flanagan began dictating stories in pre-school.
Her first major costume project was done in 3rd grade. An
avid reader, she quickly fell in love with speculative fiction.
After graduation from Texas A&M, she became a professional
costumer at ASU, then moved on to period horse costumes.
Later, while teaching HS English and science, she helped
create and publish the SF/F/H forum on Apple’s eWorld, and
also published a few articles. She currently lives on a Foundation
Appaloosa Ranch near Francisco Grande/this convention site.
The ranch gate is always open to anyone wanting to make
an appointment to visit “the kids.”
David Foster
Mark A. Greenawalt
Greenawalt is an award-winning artist who has evolved to painting
on living canvases. From liquid latex swimsuits to airbrushed
murals, Greenawalt blurs the boundaries between art and photography
(Records of molecules from another source follow)
ORCA calculation (ωB97M-V/def2-TZVPD) on C38H35ClIrN2Si2 as an isolated structure in a non-equilibrium geometry.

```
79
Properties=species:S:1:pos:R:3:forces:R:3
C -0.625 -1.924 2.205 -0.714 0.309 -0.521
H 3.490 0.382 0.668 0.059 -0.298 -1.238
N 0.128 1.890 2.526 -0.192 1.083 -0.047
C -1.579 1.028 -3.794 -0.153 0.178 -0.093
C 0.771 2.137 -0.392 0.724 0.131 -1.391
C 2.724 -1.339 5.265 0.234 0.053 0.508
H 2.474 -4.730 -3.716 -0.225 0.199 -0.053
C 0.005 4.340 -1.189 -0.063 -0.047 -0.246
H 0.248 5.363 -1.480 0.132 -0.376 -0.072
C 1.073 -3.940 -5.160 0.011 -0.422 -0.141
C -0.284 0.825 -3.317 -0.429 -0.420 0.429
H -3.008 -5.523 -1.435 0.050 0.433 0.108
C 1.439 0.944 4.339 0.448 -1.472 0.431
H 0.608 3.955 6.630 0.150 -0.421 -0.166
H -1.171 4.006 -5.426 0.166 -0.552 0.256
C 2.166 -1.288 3.987 -0.037 1.542 -0.293
H -0.880 2.037 2.462 0.107 -0.140 0.413
H -2.128 -0.131 4.617 0.270 -0.001 -0.040
H 3.211 -2.262 5.564 -0.044 0.207 0.148
C 0.207 -1.744 -4.728 -0.289 -1.030 -1.901
H 2.230 -2.749 -2.141 -0.089 -0.201 -0.472
H 2.049 3.707 -1.136 -0.114 0.157 0.448
H -2.656 0.787 2.141 0.224 -0.070 0.235
C 0.638 1.995 3.876 -0.391 0.911 0.176
H -2.355 0.301 -3.540 0.061 0.380 -0.185
H 0.486 2.658 1.945 0.298 -0.249 0.181
C -2.579 -2.160 -1.936 -0.110 -0.604 -0.228
H 1.163 3.596 -4.706 -0.014 -0.227 0.057
C 1.623 2.052 6.461 0.036 0.315 0.366
C -1.975 -0.017 2.414 -0.604 -1.291 0.165
C 2.636 -0.242 6.106 -0.146 -0.242 -0.171
H -2.143 4.678 -1.358 0.419 -0.250 0.169
C 0.845 3.103 5.986 0.359 -0.401 0.448
H -2.661 2.297 -0.777 0.512 0.086 -0.051
H -2.919 2.314 -4.862 0.053 -0.008 -0.052
C -1.893 2.155 -4.552 -0.149 0.011 0.048
H -4.289 -3.470 -2.087 0.481 -0.054 -0.047
H -0.385 -0.883 -5.045 0.241 -0.344 0.180
C 0.268 -2.871 -5.545 -0.679 1.489 0.204
H 0.333 -3.002 -0.398 -0.104 -0.163 -0.355
H 1.750 1.584 -3.313 -0.377 0.157 -0.243
N 1.592 -0.163 3.535 0.671 -0.929 1.095
C 0.329 3.075 4.677 0.395 -0.749 -0.248
H -3.078 -1.272 -2.335 -0.019 -0.541 0.059
C 1.824 -3.893 -3.973 0.446 0.460 1.528
C -0.914 3.093 -4.869 0.202 -0.139 0.078
C -1.235 -2.080 -1.570 0.003 0.636 0.007
H -0.549 -2.285 4.427 0.051 0.267 -0.196
C 1.024 3.413 -0.919 0.252 0.492 0.387
H 2.205 -2.134 3.294 -0.047 0.367 0.302
C -0.871 -1.658 3.600 -0.621 -0.359 -0.299
Cl 3.159 2.828 1.462 -0.584 -0.439 0.072
H -1.609 -0.975 0.374 -0.225 -0.079 0.644
C -1.339 3.974 -1.117 0.202 -0.001 0.254
H 1.330 -1.004 0.660 0.022 -0.333 -0.017
C -3.226 -3.398 -1.830 -0.352 0.170 0.109
H -0.317 3.857 4.281 0.177 -0.043 0.218
C -1.624 2.657 -0.773 0.048 -0.240 -0.168
C 0.402 2.861 -4.455 -0.070 -0.192 0.178
Si -0.052 -0.740 -2.194 0.724 1.323 0.210
H -0.890 0.714 -0.388 0.286 0.655 0.469
H 3.026 -0.266 7.126 -0.027 -0.072 -0.335
C -2.538 -4.536 -1.388 0.066 0.123 -0.023
Si 2.220 1.117 0.592 -0.954 1.401 0.171
H 1.115 -4.824 -5.794 0.174 0.161 0.093
C 0.820 -1.775 -3.461 -0.145 -0.272 0.092
C -0.638 -3.154 -0.877 0.229 -0.429 -0.597
H -0.158 -2.822 1.802 -0.452 0.261 0.211
C 0.728 1.734 -3.683 -0.268 -0.041 0.196
(End of the records of molecules)
as an accomplished body painter. His final images are more
than documentation snapshots of what he painted -- more like
professionally composed photographs of beautiful models whose
surroundings compliment their painted skin. The photograph,
after all, is the final product once the bodypainting has
long since washed away. Mark's work has been featured in numerous
magazines, on television, and at live demonstrations for various
art groups. Born and raised in Pennsylvania, he now makes
his home in Phoenix, Arizona. You can see some of Mark's
work at recent LepreCon's (33,
and other events on his press page (definitely
contains adult material)
Hugh S. Gregory
Bennie Grezlik's fantasy novel "The Ark of Arianna"
was released in April of 2007. The first book of his SF trilogy,
"Gate World," will be released by StoneGarden.net in
July of 2008. He also has to his credit a number of stories in
Yard Dog Press' Bubbas of the Apocalypse series and Sam's
DOT Publishing's Wondrous Web Worlds #6. He is also semi
notorious for his Skip Thruster, Space Detective plays at
ApolloCon every year
Adam Niswander
Adam Niswander is the author of the Shaman Cycle novels-
The Charm, The Serpent Slayers, The Hound Hunters, The War
of the Whisperers, and The Nemesis of Night. Also, The Sand
Dwellers, The Repository, and Golden Dreams. His short story
collection Blurring the Edges of Dream came out in 2004.
He lives in Phoenix with a couple of cats.
Gerald D. Nordley
G. David Nordley" is the pen name of Gerald D. Nordley,
an astronautical engineer and author of ˜60
works of published short fiction and non-fiction. He has
been a nebula and Hugo award finalist and has
won 4 Analog "Anlab" readers awards. His latest publication
is "Hell Orbit" in Visual Journeys from Hadley Rille
Books (2007).
Jim Strait
Cynthia Ward
Cynthia Ward lived in Maine, Spain, Germany, the San Francisco
Bay area, and the Seattle area before moving to Tucson. She
has published stories in Asimov's SF Magazine, Front Lines,
and other anthologies and magazines, and has written articles
and reviews for Amazing Stories, Locus Online, and other webzines
and magazines. She writes the monthly market-news e'newsletter
The Market Maven,
as well as The SFWA Bulletin's quarterly Market Report. With
Nisi Shawl, she has written the nonfiction guidebook Writing
the Other: A Practical Approach (Aqueduct Press), which is the companion
volume to their critically acclaimed fiction workshop, Writing
the Other: Bridging Cultural Differences for Successful Fiction.
Cynthia is completing her first novel, a romantic SF mystery
tentatively titled Stone Rain.
Lee Whiteside
Lee Whiteside has been keeping track of science fiction
and fantasy TV online since the early in 1980s, starting
with the Magrathea BBS and currently with SFTV.org. He’s
been writing about it ConNotations for over 15 years. He’s
also been involved heavily in Arizona fandom, having chaired
One Leprecon, two Coppercons, the 2006 Nebula Awards weekend
and the upcoming North American Discworld convention in 2009.
He is currently a Leprecon, Inc. board member.
/*
# 1
Formula: C42H42Cl5N4O2PSn
Source: OMol25
Level of theory: wB97M-V/def2-TZVPD

Atoms and positions in Å:
1 Sn -0.849 -1.231 -0.290
2 Cl 1.615 -6.650 -0.129
3 C -0.056 -6.371 -0.394
4 C -0.639 -5.237 0.157
5 C -1.988 -4.987 -0.029
6 Cl -2.749 -3.605 0.670
7 C -2.748 -5.854 -0.816
8 Cl -4.406 -5.516 -1.093
9 C -2.162 -6.976 -1.392
10 Cl -3.089 -8.018 -2.372
11 C -0.809 -7.243 -1.169
12 Cl -0.078 -8.623 -1.851
13 O 0.231 -4.494 0.951
14 C 0.428 -3.199 0.988
15 C 1.482 -2.939 1.959
16 C 1.911 -3.951 2.844
17 C 2.948 -3.730 3.721
18 C 3.578 -2.489 3.737
19 C 3.151 -1.473 2.897
20 C 2.110 -1.674 1.999
21 P 1.452 -0.284 0.994
22 C 0.989 0.879 2.322
23 C 1.139 2.256 2.154
24 C 0.732 3.126 3.157
25 C 0.146 2.637 4.318
26 C -0.036 1.270 4.479
27 C 0.382 0.394 3.485
28 C 2.782 0.535 0.076
29 C 3.936 1.068 0.653
30 C 4.851 1.756 -0.129
31 C 4.621 1.934 -1.489
32 C 3.466 1.433 -2.068
33 C 2.551 0.743 -1.285
34 H 1.409 -4.908 2.840
35 H 3.269 -4.515 4.394
36 H 4.395 -2.306 4.424
37 H 3.625 -0.504 2.966
38 H 1.579 2.651 1.244
39 H 0.889 4.191 3.036
40 H -0.159 3.321 5.103
41 H -0.487 0.881 5.384
42 H 0.247 -0.674 3.629
43 H 4.129 0.971 1.713
44 H 5.745 2.162 0.328
45 H 5.340 2.474 -2.092
46 H 3.274 1.585 -3.124
47 H 1.628 0.383 -1.725
48 C -0.650 -3.548 -2.726
49 N -0.001 -2.262 -2.415
50 C 1.469 -2.463 -2.363
51 C -0.315 -1.261 -3.465
52 C -1.802 -1.112 -3.714
53 N -2.500 -0.668 -2.504
54 C -3.779 -1.361 -2.302
55 C -2.727 0.778 -2.551
56 H -0.487 -3.814 -3.777
57 H -1.724 -3.506 -2.533
58 H -0.218 -4.329 -2.104
59 H 1.820 -2.994 -3.254
60 H 1.736 -3.049 -1.482
61 H 1.983 -1.506 -2.313
62 H 0.176 -1.556 -4.401
63 H 0.109 -0.299 -3.161
64 H -2.220 -2.057 -4.062
65 H -1.934 -0.395 -4.530
66 H -4.511 -1.098 -3.077
67 H -4.196 -1.082 -1.334
68 H -3.636 -2.441 -2.313
69 H -3.412 1.046 -3.366
70 H -1.783 1.296 -2.700
71 H -3.153 1.119 -1.608
72 C -2.443 5.566 0.963
73 N -2.160 4.143 1.160
74 N -1.303 3.437 0.337
75 C -1.506 2.087 0.538
76 O -0.813 1.211 -0.052
77 C -2.531 1.981 1.510
78 C -2.913 3.260 1.844
79 C -3.967 3.722 2.792
80 C -0.154 4.043 -0.254
81 C 0.274 3.618 -1.502
82 C 1.416 4.176 -2.060
83 C 2.119 5.164 -1.384
84 C 1.684 5.584 -0.134
85 C 0.555 5.018 0.439
86 H -2.008 5.895 0.026
87 H -2.034 6.168 1.773
88 H -3.519 5.717 0.915
89 H -2.914 1.062 1.924
90 H -4.348 2.873 3.356
91 H -4.806 4.181 2.262
92 H -3.569 4.458 3.492
93 H -0.283 2.857 -2.025
94 H 1.747 3.847 -3.037
95 H 2.998 5.611 -1.831
96 H 2.228 6.351 0.405
97 H 0.231 5.330 1.426

HOMO energy = -0.4715 hartree
Energy relative to the best compared isomer or geometry (same formula, charge and spin) = 1.7005 eV
Net charge = +2
LUMO level = -6.06 eV
Electronic energy = -132008.862 eV
F_max = 0.01080 hartree/bohr

---

# 2
Formula: CH2N2S4
Source: OMol25
Level of theory: wB97M-V/def2-TZVPD

Atoms and positions in Å:
1 C 0.815 1.045 -0.588
2 N -0.423 1.277 -0.200
3 N -0.545 -1.374 -0.376
4 S 2.155 2.016 -0.396
5 S 0.987 -0.685 -1.002
6 S -1.677 -0.052 -0.528
7 S -0.577 -2.545 0.861
*/
Randall is an Environmental Geologist and recovering Meteoriticist
working in Phoenix. Randall is a part-time costumer, serving
as Webmonster and Newsletter Editor for Southwest Costumers
Guild and designing the Randwulf’s line of sewing patters
for his MoiRandall’s renaissance faire business. Randall
will direct the masquerades at the upcoming CopperCon 28
in August 2008 and North American Discworld Convention in
September 2009.
David Williams
Dr. David A. Williams is a Faculty Research Associate in
the School of Earth and Space Exploration at Arizona State
University. He was involved with NASA's Magellan Mission
to Venus and Galileo Mission to Jupiter, and is currently
serving as an Associate Investigator on the ESA Mars Express
orbiter. He was a member of the Science Definition Team for
NASA's Jupiter System Observer mission in 2007, and currently
serves as a Steering Committee member of NASA's Outer Planets
Advisory Group. David is also the Secretary-Treasurer of
the Planetary Geology Division of the Geological Society of